To do >
Start at the top of the listing below and restate each line, ending with the one that has "0.703 0.086".

Contents >
********
1.
This record from the Alexandria database describes a geometry-optimized Mg2Zn4Ga5 structure. The functional is PBE-GGA.

For the formation energy, the calculation gives -0.010 eV/atom. As for the density of states at the Fermi level: 3.18 states/eV per cell. The space-group type is Immm (71). The calculated total energy is -23.53 eV for the cell shown.

Structure (POSCAR):
```
Mg2Zn4Ga5
1.0
-2.684 3.930 4.728
2.684 -3.930 4.728
2.684 3.930 -4.728
Mg Zn Ga
2 4 5
Direct
0.168 0.168 0.000
0.832 0.832 0.000
0.076 0.744 0.332
0.412 0.744 0.668
0.588 0.256 0.332
0.924 0.256 0.668
0.000 0.500 0.500
0.326 0.252 0.578
0.326 0.748 0.073
0.674 0.252 0.927
0.674 0.748 0.422
```

***

2.
This record from the Alexandria database describes a geometry-optimized Mg2ZnGa9 structure. The functional is PBE-GGA.

For the formation energy, the calculation gives -0.044 eV/atom. As for the density of states at the Fermi level: 5.35 states/eV per cell. The space-group type is P4/mmm (123). The calculated total energy is -32.23 eV for the cell shown.

Structure (POSCAR):
```
Mg2ZnGa9
1.0
4.185 0.000 0.000
0.000 4.185 0.000
0.000 0.000 12.588
Mg Zn Ga
2 1 9
Direct
0.000 0.000 0.167
0.000 0.000 0.833
0.000 0.000 0.500
0.000 0.500 0.000
0.000 0.500 0.338
0.000 0.500 0.662
0.500 0.000 0.000
0.500 0.000 0.338
0.500 0.000 0.662
0.500 0.500 0.165
0.500 0.500 0.500
0.500 0.500 0.835
```

***

3.
This record from the Alexandria database describes a geometry-optimized MgZn5Ga structure. The functional is PBE-GGA.

For the formation energy, the calculation gives -0.010 eV/atom. As for the density of states at the Fermi level: 6.90 states/eV per cell. The space-group type is Pnma (62). The calculated total energy is -44.25 eV for the cell shown.

Structure (POSCAR):
```
MgZn5Ga
1.0
8.430 0.000 0.000
0.000 5.324 0.000
0.000 0.000 10.476
Mg Zn Ga
4 20 4
Direct
0.244 0.250 0.066
0.256 0.750 0.566
0.744 0.250 0.434
0.756 0.750 0.934
0.064 0.750 0.091
0.065 0.008 0.310
0.065 0.492 0.310
0.097 0.250 0.520
0.188 0.250 0.759
0.312 0.750 0.259
0.403 0.750 0.020
0.435 0.508 0.810
0.435 0.992 0.810
0.436 0.250 0.591
0.564 0.750 0.409
0.565 0.008 0.190
0.565 0.492 0.190
0.597 0.250 0.980
0.688 0.250 0.741
0.812 0.750 0.241
0.903 0.750 0.480
0.935 0.508 0.690
0.935 0.992 0.690
0.936 0.250 0.909
0.130 0.750 0.858
0.370 0.250 0.358
0.630 0.750 0.642
0.870 0.250 0.142
```

***

4.
This record from the Alexandria database describes a geometry-optimized Mg6ZnGa2 structure. The functional is PBE-GGA.

Its energy above the most stable polymorph in this dataset is 14 kJ/mol of formula units. For the formation energy, the calculation gives -0.040 eV/atom. As for the density of states at the Fermi level: 3.61 states/eV per cell. The space-group type is C2/m (12). The calculated total energy is -17.26 eV for the cell shown.

Structure (POSCAR):
```
Mg6ZnGa2
1.0
7.266 -3.238 0.000
7.266 3.238 0.000
-1.442 0.000 4.357
Mg Zn Ga
6 1 2
Direct
0.083 0.585 0.334
0.249 0.751 0.000
0.415 0.917 0.666
0.585 0.083 0.334
0.751 0.249 0.000
0.917 0.415 0.666
0.000 0.000 0.500
0.333 0.333 0.833
0.667 0.667 0.167
```

***

5.
This record from the Alexandria database describes a geometry-optimized Mg16Zn12Ga structure. The functional is PBE-GGA.

For the formation energy, the calculation gives -0.076 eV/atom. As for the density of states at the Fermi level: 7.59 states/eV per cell. The space-group type is Cm (8). The calculated total energy is -46.03 eV for the cell shown.

Structure (POSCAR):
```
Mg16Zn12Ga
1.0
5.147 -6.897 0.000
5.147 6.897 0.000
-4.865 0.000 7.650
Mg Zn Ga
16 12 1
Direct
0.000 0.000 0.000
0.001 0.400 0.996
0.009 0.308 0.292
0.086 0.703 0.352
0.094 0.343 0.670
0.291 0.291 0.988
0.308 0.009 0.292
0.318 0.687 0.671
0.343 0.094 0.670
0.373 0.686 0.085
0.400 0.001 0.996
0.686 0.373 0.085
0.686 0.686 0.674
0.687 0.318 0.671
0.703 0.086 0.352
0.727 0.727 0.363
0.052 0.669 0.857
0.057 0.868 0.692
0.343 0.537 0.325
0.352 0.352 0.514
0.492 0.492 0.849
0.507 0.889 0.500
0.537 0.343 0.325
********

Reply >
1.
This record from the Alexandria database describes a geometry-optimized Mg2Zn4Ga5 structure. The functional is PBE-GGA.

For the formation energy, the calculation gives -0.010 eV/atom. As for the density of states at the Fermi level: 3.18 states/eV per cell. The space-group type is Immm (71). The calculated total energy is -23.53 eV for the cell shown.

Structure (POSCAR):
```
Mg2Zn4Ga5
1.0
-2.684 3.930 4.728
2.684 -3.930 4.728
2.684 3.930 -4.728
Mg Zn Ga
2 4 5
Direct
0.168 0.168 0.000
0.832 0.832 0.000
0.076 0.744 0.332
0.412 0.744 0.668
0.588 0.256 0.332
0.924 0.256 0.668
0.000 0.500 0.500
0.326 0.252 0.578
0.326 0.748 0.073
0.674 0.252 0.927
0.674 0.748 0.422
```

***

2.
This record from the Alexandria database describes a geometry-optimized Mg2ZnGa9 structure. The functional is PBE-GGA.

For the formation energy, the calculation gives -0.044 eV/atom. As for the density of states at the Fermi level: 5.35 states/eV per cell. The space-group type is P4/mmm (123). The calculated total energy is -32.23 eV for the cell shown.

Structure (POSCAR):
```
Mg2ZnGa9
1.0
4.185 0.000 0.000
0.000 4.185 0.000
0.000 0.000 12.588
Mg Zn Ga
2 1 9
Direct
0.000 0.000 0.167
0.000 0.000 0.833
0.000 0.000 0.500
0.000 0.500 0.000
0.000 0.500 0.338
0.000 0.500 0.662
0.500 0.000 0.000
0.500 0.000 0.338
0.500 0.000 0.662
0.500 0.500 0.165
0.500 0.500 0.500
0.500 0.500 0.835
```

***

3.
This record from the Alexandria database describes a geometry-optimized MgZn5Ga structure. The functional is PBE-GGA.

For the formation energy, the calculation gives -0.010 eV/atom. As for the density of states at the Fermi level: 6.90 states/eV per cell. The space-group type is Pnma (62). The calculated total energy is -44.25 eV for the cell shown.

Structure (POSCAR):
```
MgZn5Ga
1.0
8.430 0.000 0.000
0.000 5.324 0.000
0.000 0.000 10.476
Mg Zn Ga
4 20 4
Direct
0.244 0.250 0.066
0.256 0.750 0.566
0.744 0.250 0.434
0.756 0.750 0.934
0.064 0.750 0.091
0.065 0.008 0.310
0.065 0.492 0.310
0.097 0.250 0.520
0.188 0.250 0.759
0.312 0.750 0.259
0.403 0.750 0.020
0.435 0.508 0.810
0.435 0.992 0.810
0.436 0.250 0.591
0.564 0.750 0.409
0.565 0.008 0.190
0.565 0.492 0.190
0.597 0.250 0.980
0.688 0.250 0.741
0.812 0.750 0.241
0.903 0.750 0.480
0.935 0.508 0.690
0.935 0.992 0.690
0.936 0.250 0.909
0.130 0.750 0.858
0.370 0.250 0.358
0.630 0.750 0.642
0.870 0.250 0.142
```

***

4.
This record from the Alexandria database describes a geometry-optimized Mg6ZnGa2 structure. The functional is PBE-GGA.

Its energy above the most stable polymorph in this dataset is 14 kJ/mol of formula units. For the formation energy, the calculation gives -0.040 eV/atom. As for the density of states at the Fermi level: 3.61 states/eV per cell. The space-group type is C2/m (12). The calculated total energy is -17.26 eV for the cell shown.

Structure (POSCAR):
```
Mg6ZnGa2
1.0
7.266 -3.238 0.000
7.266 3.238 0.000
-1.442 0.000 4.357
Mg Zn Ga
6 1 2
Direct
0.083 0.585 0.334
0.249 0.751 0.000
0.415 0.917 0.666
0.585 0.083 0.334
0.751 0.249 0.000
0.917 0.415 0.666
0.000 0.000 0.500
0.333 0.333 0.833
0.667 0.667 0.167
```

***

5.
This record from the Alexandria database describes a geometry-optimized Mg16Zn12Ga structure. The functional is PBE-GGA.

For the formation energy, the calculation gives -0.076 eV/atom. As for the density of states at the Fermi level: 7.59 states/eV per cell. The space-group type is Cm (8). The calculated total energy is -46.03 eV for the cell shown.

Structure (POSCAR):
```
Mg16Zn12Ga
1.0
5.147 -6.897 0.000
5.147 6.897 0.000
-4.865 0.000 7.650
Mg Zn Ga
16 12 1
Direct
0.000 0.000 0.000
0.001 0.400 0.996
0.009 0.308 0.292
0.086 0.703 0.352
0.094 0.343 0.670
0.291 0.291 0.988
0.308 0.009 0.292
0.318 0.687 0.671
0.343 0.094 0.670
0.373 0.686 0.085
0.400 0.001 0.996
0.686 0.373 0.085
0.686 0.686 0.674
0.687 0.318 0.671
0.703 0.086 0.352